1.
This record from OMol25 describes a molecular structure, C38H48AsClGeN3OSi3Tc. The level of theory is ωB97M-V/def2-TZVPD.

ΔE to the lowest compared entry with this formula, charge and spin = 92.3 kJ/mol
Kohn-Sham gap = 6.027 eV
spin multiplicity = 1
total charge = +2
HOMO level = -13.7 eV

Cartesian coordinates (Å):
Tc -1.077258 0.397480 -0.371933
O -2.275379 -0.160874 -1.722446
N -2.404717 -0.840802 -2.861669
C -2.014692 -2.059199 -2.871344
C -2.218804 -2.833558 -4.061896
N -2.383404 -3.487803 -4.989147
C -1.405529 -2.695506 -1.731551
N -0.925997 -3.179673 -0.808581
C -1.264801 -2.636961 4.599387
Si -1.222416 -2.725711 2.745920
C -2.832894 -3.320958 2.043367
C 0.303649 -3.617813 2.194626
As -1.081000 -0.371409 1.998098
Si -3.168068 0.689579 2.647655
C -3.782894 -0.036318 4.242078
C -4.342898 0.297256 1.248851
C -2.831530 2.507612 2.896152
Si 0.835451 0.678677 3.097549
C 1.050003 2.413415 2.468061
C 2.298932 -0.382836 2.694688
C 0.349520 0.668437 4.896029
H -1.370342 -3.675303 4.934683
H -2.101347 -2.080149 5.009854
H -0.335615 -2.260539 5.025606
H -2.960340 -4.369128 2.330089
H -2.869091 -3.269621 0.957994
H -3.676836 -2.768321 2.458835
H 0.072146 -4.687021 2.167998
H 1.114568 -3.474410 2.909219
H 0.636422 -3.330444 1.202240
H -4.050807 -1.089005 4.160964
H -4.691380 0.511079 4.512802
H -3.076498 0.091794 5.062081
H -4.642625 -0.752118 1.294929
H -3.967134 0.484744 0.242088
H -5.248066 0.900702 1.363896
H -2.296286 2.666847 3.834695
H -3.790434 3.027015 2.981341
H -2.265771 2.998964 2.103420
H 1.383830 2.448133 1.430611
H 1.836085 2.876957 3.072844
H 0.156845 3.028744 2.587766
H 2.563790 -0.321734 1.638028
H 2.154297 -1.433032 2.942997
H 3.155723 -0.020650 3.271623
H -0.716758 0.829919 5.060615
H 0.881996 1.480698 5.398154
H 0.634495 -0.262706 5.385412
Cl -5.257659 3.678913 -4.110043
C -3.931921 3.359732 -3.070390
C -2.656809 3.207036 -3.611427
C -1.593872 2.939638 -2.776207
C -1.785313 2.820292 -1.393989
C -0.668933 2.411952 -0.522947
C -3.068614 3.009467 -0.868995
C -4.140788 3.275700 -1.698309
H -2.515830 3.300123 -4.679179
H -0.601994 2.813623 -3.191322
H -0.807135 2.676892 0.537456
H 0.328497 2.652625 -0.877151
H -3.223536 2.977471 0.203184
H -5.132689 3.433098 -1.298070
C 0.434257 -0.098201 -0.851712
Ge 2.256468 -0.267787 -1.860699
C 3.322150 -1.425315 -0.753873
C 4.627867 -1.069686 -0.416745
C 5.409948 -1.929437 0.342583
C 4.895896 -3.148196 0.762328
C 3.602924 -3.517110 0.414031
C 2.820221 -2.660005 -0.343976
C 1.821792 -0.950151 -3.612458
C 2.167640 -0.241410 -4.763261
C 1.959852 -0.798458 -6.018243
C 1.422917 -2.070850 -6.134970
C 1.113882 -2.802172 -4.995332
C 1.314469 -2.245056 -3.742137
C 2.651156 1.624975 -1.718728
C 2.181500 2.523211 -2.681685
C 2.387108 3.888275 -2.536813
C 3.056132 4.374236 -1.421278
C 3.517097 3.494206 -0.451814
C 3.313686 2.128614 -0.597863
H 5.051052 -0.130464 -0.752969
H 6.424499 -1.652181 0.595923
H 5.510041 -3.819846 1.347334
H 3.210458 -4.477593 0.722804
H 1.817421 -2.966480 -0.622745
H 2.633355 0.732744 -4.697382
H 2.235329 -0.242473 -6.904370
H 1.266047 -2.505103 -7.113153
H 0.731622 -3.809672 -5.087788
H 1.121270 -2.847048 -2.861158
H 1.651047 2.160594 -3.552977
H 2.032527 4.572677 -3.296594
H 3.225089 5.437168 -1.311710
H 4.046330 3.870960 0.413848
H 3.687412 1.455986 0.166294

Forces on atoms 1 to 6 (eV/Å):
Tc 0.11 0.49 -0.26
O -0.12 -0.12 0.23
N 0.09 0.04 -0.06
C 0.04 -0.01 0.02
C -0.02 0.04 -0.02
N 0.03 -0.01 -0.01

2.
This record from OMol25 describes a molecular structure, C38H48BFeN9O2S3 at a distorted geometry. The level of theory is ωB97M-V/def2-TZVPD.

ΔE to the lowest compared entry with this formula, charge and spin = 337.4 kJ/mol
expectation value of S² = 8.7659
Kohn-Sham gap (spin up / spin down) = 4.766 / 6.883 eV
spin multiplicity = 6
total charge = +1
HOMO level (spin up / spin down) = -7.6 / -9.7 eV

Cartesian coordinates (Å):
Fe -0.223000 -0.149600 0.864000
C -0.629600 -4.455300 2.548700
C 0.672800 -4.708800 2.959800
C 1.555300 -3.650100 3.062900
Your job: say how many lines of the entries further above hold the word "to", as a bare number.
3